Added on 12/09/2013
Common Ground News Service
AIDS denialism , Chadian–Libyan conflict , Gaddafi family , Libya , Libyan government , Military dictatorship , Muammar Gaddafi , Pan-Africanism , Political geography , Politics , Social Media

-- begin --
1.
4
Lattice="-2.982 -0.209 3.788 -4.709 -0.803 -0.678 -1.942 -4.218 1.312" Properties=species:S:1:pos:R:3 comment="YbBiPd2 (meta-GGA r2SCAN, relaxed)" spacegroup="No. 225" energy_ev_per_atom=-35.998 volume_a3_per_atom=19.9 pbc="T T T"
Bi -4.816 -2.615 2.211
Yb 0.000 0.000 0.000
Pd -2.408 -1.308 1.106
Pd -7.225 -3.923 3.317

2.
6
Lattice="-2.123 3.088 7.184 2.123 -3.088 7.184 2.123 3.088 -7.184" Properties=species:S:1:pos:R:3 comment="UTe2 (meta-GGA r2SCAN, relaxed)" spacegroup="No. 71" energy_ev_per_atom=-44.671 volume_a3_per_atom=31.4 pbc="T T T"
Te 2.123 1.534 0.000
Te 0.000 3.088 2.946
Te 0.000 1.554 7.184
Te 2.123 0.000 4.238
U 0.000 0.000 1.963
U 0.000 0.000 12.405

3.
3
Lattice="0.000 2.337 6.881 1.616 0.000 6.881 1.616 2.337 0.000" Properties=species:S:1:pos:R:3 comment="TaNbW (meta-GGA r2SCAN, relaxed)" spacegroup="No. 42" energy_ev_per_atom=-41.578 volume_a3_per_atom=17.3 pbc="T T T"
W 1.616 2.337 4.574
Ta 1.616 2.337 9.235
Nb 1.616 2.337 13.714

4.
70
Lattice="7.928 -8.633 0.055 7.928 8.633 0.055 -1.552 0.000 11.618" Properties=species:S:1:pos:R:3 comment="Nd9Ga5S21 (meta-GGA r2SCAN, relaxed)" spacegroup="No. 146" energy_ev_per_atom=-15.843 volume_a3_per_atom=22.7 pbc="T T T"
Nd 6.531 1.292 9.223
Nd 1.584 1.308 5.177
Nd 8.000 -1.376 2.721
Nd 6.979 -6.666 8.771
Nd 8.878 -5.408 1.392
Nd 5.155 1.944 0.822
Nd 1.579 -1.238 10.294
Nd 3.718 -3.252 2.574
Nd 12.882 1.291 1.572
Nd 8.999 -1.963 10.776
Nd 12.576 -1.294 6.413
Nd 8.666 -3.237 6.618
Nd 4.422 -1.882 7.086
Nd 10.420 3.257 9.043
Nd 5.561 5.375 10.500
Nd 7.518 6.646 3.051
Nd 5.934 3.259 5.242
Nd 10.085 1.945 4.888
Ga 9.509 2.791 1.404
Ga 12.165 0.000 9.974
Ga 2.086 0.000 1.710
Ga 6.341 -5.676 5.269
Ga 9.253 0.000 7.586
Ga 5.020 0.000 4.116
Ga 5.550 -2.869 11.099
Ga 3.276 2.885 9.008
Ga 11.942 -2.951 3.303
Ga 8.791 5.821 7.146
S 10.589 4.610 6.463
S 0.582 1.283 11.161
S 6.056 -4.454 7.161
S 6.590 -3.697 1.526
S 3.809 0.784 9.752
S 8.091 2.113 6.930
S 4.383 0.925 6.058
S 10.214 -2.918 1.869
S 6.054 7.758 8.914
S 5.225 3.698 8.174
S 13.220 -1.233 0.175
S 11.434 3.558 0.471
S 3.828 -2.897 9.658
S 6.426 -0.819 11.540
S 9.144 6.514 0.718
S 7.149 -1.255 8.079
S 2.932 4.184 10.841
S 8.254 -4.831 4.331
S 6.228 2.837 11.591
S 1.709 -0.748 7.479
S 4.700 -6.525 10.566
S 7.735 -7.797 2.436
S 9.256 0.809 9.940
S 7.294 -4.181 10.396
S 10.117 0.756 2.208
S 6.840 -7.742 6.075
S 12.837 -0.867 3.635
S 5.688 -2.113 4.467
S 11.488 -3.791 5.365
S 12.555 2.925 3.874
S 9.115 4.047 3.280
S 6.703 1.188 3.228
S 7.032 5.815 5.750
S 5.769 4.444 2.528
S 3.093 1.987 2.788
S 9.439 -5.762 7.674
S 4.370 -0.824 1.231
S 9.469 -0.858 5.249
S 11.429 1.170 7.289
S 8.246 5.048 9.235
S 2.187 -1.163 3.893
S 10.541 -1.979 8.372

5.
4
Lattice="-1.045 -0.028 -3.712 -4.690 -3.107 1.344 -3.000 4.879 0.807" Properties=species:S:1:pos:R:3 comment="EuPb (meta-GGA r2SCAN, relaxed)" energy_ev_per_atom=-48.062 volume_a3_per_atom=32.3 pbc="T T T"
Pb -2.868 -1.567 -1.184
Pb -2.023 2.425 -1.452
Eu -3.845 0.886 1.076
Eu 0.000 0.000 0.000

6.
-- stop --
(End of the crystal structures)

MAROUANE BAKIT, CGNEWS: Rumor is the new currency in post-revolutionary Libya. Its effects are widespread and damaging.
Added on 22/09/2012
Juan Cole
Al Qaeda , Al-Hayat , Arab Spring , Benghazi , Chris Stevens , Interior Ministry , Libya , Libyan government , Ministry of Defense , Ministry of the Interior , Muammar Qaddafi , Muslim Brotherhood , The US ambassador , United States

JUAN COLE: The attack on the US consulate in Benghazi seems to have been a turning point for the people of Benghazi.
Added on 13/09/2012
Juan Cole
Al Qaeda , al-Masry al-Yawm , Benghazi , Cairo , Department of State , Egypt , Garden City , Hosni Mubarak , Ku Klux Klan , Libya , Libyan government , Mitt Romney , Mohammed Morsi , Muslim Brotherhood , Muslim Brotherhood in Egypt , Obama administration , President , Prime Minister , Red Cross , Republican presidential candidate , Sam Bacile , Sinai , Tahrir Square , Terry Jones , The US ambassador , United States , US embassy in Cairo , West Bank , YouTube

JUAN COLE: His comments were hasty, distasteful and unwise. Can we afford to have an individual with such poor judgement in the White House?
Added on 06/09/2011
The Moor Next Door
Africa , African Union , Algeria , Algerian government , Arab League , China , Europe , Libya , Libyan government , Morocco , North Africa , North Atlantic Treaty Organization , Qaddafi , Russia , Sahara , South Africa , The Maghreb , United States , Western Sahara

TMND: It’s becoming clearer by the day that Algeria played a key role in supporting the Qadhafi regime, particularly in its dark, late days. The Algerians face some very uncomfortable questions
Added on 27/08/2011
The Moor Next Door
America , Barack Obama , George Bush , Iraq , Libya , Libyan government , North Atlantic Treaty Organization , Obama administration , President , Steve Clemons , Susan Rice , The National Interest , U.S. military , United States

THE MOORE NEXT DOOR: The incentive to exaggerate America’s role is high on one side; the opposite push to down play its overall relevance will grow.
Added on 29/03/2011
Abu Salim prison , California , Colonel , Human Rights Watch , Libya , Libyan government , Los Angeles , Middle East , Muammar Gaddafi , Tripoli

TASBEEH HERWEES, SUHAIBWEBB: The memories of that summer come rushing back. It was, after all, the Abu Salim families who kick-started this revolution.
Added on 23/03/2011
Afghanistan , Africa , Al Qaeda , Amr Moussa , Arab League , Bahrain , Central Asia , Europe , Food and Drink , Gaza , humanitarian law , Iran , Iraq , Israel , Libya , Libyan government , Middle East , Obama administration , Oil , Pakistan , Persian Gulf , Tripoli , United States , Washington , Yemen

ISSA KHALAF, MONDOWEISS: The price of military intervention always comes at a higher price than initially anticipated. Can the United States afford to intervene in Libya?